Lady Tyler "Bio" Rodriguez

I know, it’s so wonderful it makes me want to squeeeeee! For years I had vaguely remembered “Gaslight” as starring Joan Fontaine*, because I somehow saw the original (on public TV I think, in Chicago) just the once when I was very young, so when people would refer to Ingrid Bergman...I wondered. I knew I’d seen

Are you going to insist the parrot is just resting, too?

**Here the entry breaks off for calculated molecules**
+++
1.
Molecular formula: HO2PRh
Method: DFT, wB97M-V/def2-TZVPD

```
5
Properties=species:S:1:pos:R:3:forces:R:3:lowdin_spin:R:1
P -1.16201 0.52949 -0.07189 1.31 -0.47 0.22 1.270
O -0.03905 1.64442 0.04125 -0.61 -0.03 -0.14 0.618
Rh 1.63677 0.46167 -0.03711 0.94 0.53 0.03 2.714
O -0.05410 -0.79323 0.02546 -2.69 -3.37 -0.03 0.388
H -0.38161 -1.84235 0.04230 1.05 3.33 -0.07 0.010
```
Forces are in eV/Å.

Calculated values
- ΔE to the lowest compared entry with this formula, charge and spin (kcal per mole) = 0.0
- lowest unoccupied orbital energy (alpha / beta) (eV) = -11.6 / -15.7
- spin multiplicity = 6
- total charge = +2
- HOMO (alpha / beta) (eV) = -19.173 / -23.300
- expectation value of S² = 8.759

2.
Molecular formula: C4H11NO
Method: DFT, wB97M-V/def2-TZVPD

```
17
Properties=species:S:1:pos:R:3:forces:R:3:lowdin_charge:R:1
C 1.27213 -2.20136 -0.67883 0.25 -2.63 -0.39 -0.073
C 1.21470 -0.89604 -0.93946 1.42 2.78 0.42 -0.297
N 0.11494 -0.06490 -0.77636 -0.96 2.53 -0.82 -0.050
C 0.33268 1.42787 -1.00920 0.43 -0.59 0.20 -0.242
C -0.59153 2.27499 -0.06664 -0.47 -0.35 0.28 -0.102
H 1.78386 -2.91830 -1.38996 0.56 1.18 1.58 0.054
H 0.89512 -2.60846 0.26038 -1.40 -0.20 -0.87 0.039
H 2.27075 -0.29755 -0.87268 -2.33 -1.02 -1.82 0.152
H -0.82921 -0.19256 -1.19598 1.44 -1.53 0.69 0.141
H 0.37022 1.76764 -2.12494 -0.87 -0.78 1.72 0.133
H 1.37934 1.44703 -0.77540 0.49 1.07 0.64 0.059
H -0.78280 1.81740 0.93918 0.22 -0.32 -1.14 0.078
H -1.57870 2.51976 -0.50881 0.46 -0.51 0.04 0.065
H -0.23333 3.24363 0.25409 0.75 0.38 -0.54 0.048
O -1.54473 -1.79164 2.69401 -2.43 0.14 1.95 -0.144
H -2.50380 -2.12132 2.54898 2.43 0.85 0.41 0.070
H -1.56965 -1.40618 3.64164 0.01 -0.99 -2.36 0.069
```
Forces are in eV/Å.

Calculated values
- ΔE to the lowest compared entry with this formula, charge and spin (kcal per mole) = 99.2
- lowest unoccupied orbital energy (eV) = 0.8
- total charge = 0
- SMILES string = C=CNCC.O
- HOMO (eV) = -7.024

3.
Molecular formula: C31H41EuN2O4P2S
Method: DFT, wB97M-V/def2-TZVPD

```
82
Properties=species:S:1:pos:R:3:forces:R:3:lowdin_spin:R:1
Eu 0.55295 -1.18507 0.40876 -1.89 1.43 -1.50 6.991
C 1.31085 -2.01899 -5.16343 0.01 0.09 -0.04 0.000
C 1.62852 -1.97367 -3.66935 0.08 -0.06 0.00 -0.001
C 1.75512 -3.37505 -3.06644 -0.05 -0.09 0.02 0.001
P 0.60617 -0.94159 -2.52433 -0.04 0.09 -0.47 0.000
C 0.33537 0.67052 -3.40016 -0.09 0.19 0.17 0.000
C -0.64033 0.68126 -4.56881 -0.05 -0.05 -0.07 0.000
C 1.67903 1.28570 -3.78415 0.04 0.04 0.00 0.000
C -1.08034 -1.66025 -2.45407 -0.06 0.07 0.10 0.001
C -1.61754 -2.68409 -3.23156 -0.01 -0.05 0.02 0.001
C -2.91636 -3.12629 -3.03681 0.01 0.03 0.03 0.001
C -3.69913 -2.54648 -2.04208 0.01 -0.06 -0.04 0.001
C -3.18891 -1.53684 -1.25140 0.08 -0.04 0.01 0.001
C -1.88201 -1.06981 -1.44811 0.01 0.42 -0.07 0.000
N -1.29993 -0.07725 -0.66413 -0.54 0.27 -0.42 -0.009
C -1.78092 1.17749 -0.61250 0.07 0.18 -0.05 0.002
C -2.83974 1.64379 -1.43963 -0.05 -0.11 -0.03 0.000
C -3.24431 2.95547 -1.44098 -0.08 0.13 -0.02 0.001
+++

Honestly, the fate and history of the 1940 Gaslight is one of my favorite things ever. MGM trying to make the original film just...disappear, literally disappear forever, in favor of their own version. It’s just so delicious! “Don’t be ridiculous, Gaslight is a 1944 film with Ingrid Bergman!! You must be imagining

I don’t know why you’re saying this is a good film, it’s obviously bad and everyone else knows it, you just think it’s good because you’re crazy

I really enjoyed The Curse and would watch anything by Fielder and Stone, a team I’d never in my wildest dreams think would work well together, let alone end up working together at all. 

It’ll be interesting to see Mufasa do...favours...for other animals.

Emily Blunt must be having a sainthood level of patience and tolerance if that’s how The Rock is cooking in Jungle Cruise.

“[A]t least one journalist started checking under the hood of his megastar persona, and now the chickens have come home to roost.”

Canadian here. We are polite. If I stub my toe on a fire hydrant, my first reaction is to apologize to it..... But I’m always fucking late.

I don't this clause applied to the Fast and Furious movies.

I’ve always found that weird because his big thing back when he started out in wrestling was “selling” moves and making his opponents look good (No one takes a Stone Cold Stunner better), so he must know the value of losing a fight for the better story.

And then a giant team-up crossover movie in the RCU (Red Cinematic Universe): Redgame

The most disturbing thing I took from this piece is that there will be a Red Notice 2.

Three sources, including one close to Seven Bucks, claimed Johnson averaged no more than an hour late to set.


Three sources, including one close to Seven Bucks, claimed Johnson averaged no more than an hour late to set.

‘Red One’? I wonder what camera they’re shooting that on...

My favorite line from the article: In response to questions from TheWrap, two sources close to the production and one close to Seven Bucks all insisted that Johnson averaged no more than one hour late to the “Red One” set.

If that’s the best your DEFENDERS can do, there’s a problem

If you smell what the Rock is cookin... It’s asparagus.

Wow... what a fall... It just goes to show:
You either die a hero, or li—IT DOESN’T MATTER WHAT YOU THINK!!